Tuesday, September 16, 2008

The Race in View Royal

I have not heard a single thing about anyone wanting to run in View Royal. In 2005 the council was elected by acclamation and this could be the case again.

View Royal is a local government without a place - there is no community that is View Royal and finding someone that identifies as being from View Royal is rare. Why would anyone run for office or vote if you do not have a sense of community?

This municipality serves no one's needs and should be broken up and added to Esquimalt, Colwood and Saanich. This would benefit everyone in the region and really improve the situation for the people living in that random set of boundaries that is View Royal.

┌──
This entry pairs a crystal structure of Li3BiN2 with its theoretical PXRD pattern. Radiation: Cu Kα, 1.54184 Å. Structure: a DFT-relaxed cell (GGA-PBE, the Materials Project).
Peak positions follow from Bragg's law for the DFT cell and can differ from measured ones.

Peak list (10 most intense, 2θ from 10° to 90°, by angle)
two_theta  I/Imax
20.2  100.0
31.1  83.4
33.3  28.7
39.2  21.4
46.1  24.8
47.7  32.6
52.3  28.6
58.1  13.2
63.4  21.5
68.6  16.1

Atomic structure:
```
Li3BiN2
1.0
-5.3877 5.3877 5.3877
5.3877 -5.3877 5.3877
5.3877 5.3877 -5.3877
Li Bi N
24 8 16
Cartesian
4.3634 3.8723 -3.7614
3.7614 -1.0243 1.5154
3.8723 -3.7614 4.3634
4.3634 -1.5154 3.7614
9.1491 1.0243 1.5154
6.9031 1.6263 1.0243
1.5154 3.7614 -1.0243
3.7614 4.3634 -1.5154
4.3634 1.5154 1.6263
3.8723 3.7614 1.0243
3.7614 1.0243 3.8723
-1.0243 1.5154 3.7614
6.4121 3.8723 1.6263
1.6263 4.3634 1.5154
1.5154 1.6263 4.3634
1.0243 3.8723 3.7614
1.6263 1.0243 6.9031
3.8723 1.6263 6.4121
-1.5154 3.7614 4.3634
-3.7614 4.3634 3.8723
1.0243 6.9031 1.6263
1.5154 9.1491 1.0243
1.6263 6.4121 3.8723
1.0243 1.5154 9.1491
4.1034 1.2843 -1.2843
6.6720 -1.2843 1.2843
1.2843 1.2843 1.2843
1.2843 -1.2843 4.1034
-1.2843 4.1034 1.2843
1.2843 6.6720 -1.2843
-1.2843 1.2843 6.6720
4.1034 4.1034 4.1034
2.6939 2.6939 -2.6939
2.6939 -2.6939 2.6939
8.0816 0.2027 0.0000
5.3877 -2.6939 5.1850
5.1850 5.3877 -2.6939
5.1850 0.0000 2.6939
5.3877 2.6939 0.2027
2.6939 5.1850 0.0000
-2.6939 2.6939 2.6939
2.6939 2.6939 2.6939
2.6939 0.2027 5.3877
0.0000 2.6939 5.1850
0.2027 5.3877 2.6939
0.2027 0.0000 8.0816
0.0000 8.0816 0.2027
-2.6939 5.1850 5.3877
```
└──


  1. Anonymous4:27 pm

    I live in View Royal and could not disagree more with your comment.
    Many residents have a strong sense of identity and we are a tight knit community. In 2002 there were 9 candidates for 4 Council seats and 2 candidates for mayor. I think the acclamation last time was in large part because the community was very happy with the existing Council.

  2. Anonymous12:30 pm

    I'm new to living back in the View Royal community but my family has been there 30 years. Fifteen years ago I would have agreed with your synopsis but, in the short time I've been back, I lean more towards agreeing with the first commentator. Merging with any of the other municipalities could very well decrease our sense of place and identity.

  3. Anonymous8:23 pm

    I am a proud resident of View Royal and have been since purchasing my home 1 1/2 yrs ago. I agree with Mr Schulmann in the sense(although he didn't articulate it) that we have far too many municipalities in the Greater Victoria region however, to suggest that " there is no community that is View Royal" is truly ignorant. Clearly the fellow hasn't spoken to anyone who lives or has lived here.
    During the open house of the home I subsequently purchased, I encountered 2 families trying to move back into the area BECAUSE of the community. I have also been vocal in engaging my entire neighbourhood regarding a recent application for development. What I learned is many of my neighbours find this area so valuable to their families that instead of moving out of the area to provide for a growing family, they instead were patient and waited for homes to go up for sale and purchased them.

    If that doesn't resonate community I don't know what does! Are we hesitant to be grouped into a whole, you betcha! We have a lot to lose.

  4. Clearly I have been misreading the community of View Royal. There are clearly a group of people that feel it has a strong sense of community as a place.

Calculated crystals, as found in the file =
=====
(1)
MgH6C2O6: calculated X-ray diffraction stick pattern (Cu Kα), based on a crystal structure in the Materials Project, relaxed with GGA-PBE.

Largest 12 diffraction maxima, in order of rising 2θ, 2θ = 10–80°:
Position (°2θ)  I/Imax
18.67  859
22.83  202
23.54  1000
26.05  369
29.22  642
31.27  313
31.61  526
33.02  206
37.70  189
38.65  410
39.25  260
48.16  239

Structure:
```
data_MgH6C2O6
_chemical_formula_sum 'Mg4 H24 C8 O24'
_symmetry_space_group_name_H-M 'P b c a'
_symmetry_Int_Tables_number 61
_cell_length_a 7.5585
_cell_length_b 8.7546
_cell_length_c 8.5368
_cell_angle_alpha 90.00
_cell_angle_beta 90.00
_cell_angle_gamma 90.00
loop_
_symmetry_equiv_pos_as_xyz
'x,y,z'
'-x,-y,-z'
'-x+1/2,-y,z+1/2'
'x+1/2,y,-z+1/2'
'x+1/2,-y+1/2,-z'
'-x+1/2,y+1/2,z'
'-x,y+1/2,-z+1/2'
'x,-y+1/2,z+1/2'
loop_
_atom_site_label
_atom_site_type_symbol
_atom_site_fract_x
_atom_site_fract_y
_atom_site_fract_z
Mg1 Mg 0.0000 0.0000 0.0000
H1 H 0.0696 0.1727 0.3126
H2 H 0.1547 0.0073 0.6192
H3 H 0.1617 0.6158 0.9817
C1 C 0.0164 0.2383 0.7332
O1 O 0.0214 0.1000 0.7789
O2 O 0.0438 0.7203 0.3989
O3 O 0.2279 0.5312 0.0323
```

(2)
MgH6C2O6: calculated X-ray diffraction stick pattern (Cu Kα), based on a crystal structure in the Materials Project, relaxed with GGA-PBE.

Largest 12 diffraction maxima, in order of rising 2θ, 2θ = 10–80°:
Position (°2θ)  I/Imax
17.87  1000
18.95  478
19.35  530
20.26  223
20.56  235
24.02  323
26.01  844
26.51  503
28.98  267
33.51  205
33.64  340
34.21  506

Structure:
```
data_MgH6C2O6
_chemical_formula_sum 'Mg4 H24 C8 O24'
_symmetry_space_group_name_H-M 'P 1 21/c 1'
_symmetry_Int_Tables_number 14
_cell_length_a 8.7249
_cell_length_b 7.2038
_cell_length_c 9.4593
_cell_angle_alpha 90.00
_cell_angle_beta 98.06
_cell_angle_gamma 90.00
loop_
_symmetry_equiv_pos_as_xyz
'x,y,z'
'-x,-y,-z'
'-x,y+1/2,-z+1/2'
'x,-y+1/2,z+1/2'
loop_
_atom_site_label
_atom_site_type_symbol
_atom_site_fract_x
_atom_site_fract_y
_atom_site_fract_z
Mg1 Mg 0.0000 0.0000 0.0000
Mg2 Mg 0.5000 0.0000 0.5000
H1 H 0.0319 0.1524 0.2773
H2 H 0.1701 0.0252 0.6131
H3 H 0.1981 0.1014 0.2369
H4 H 0.2665 0.6063 0.4547
H5 H 0.2914 0.1096 0.9924
H6 H 0.4268 0.7076 0.7243
C1 C 0.1745 0.6151 0.0659
C2 C 0.4652 0.2251 0.2262
O1 O 0.0634 0.7244 0.0792
O2 O 0.0868 0.1092 0.1982
O3 O 0.2208 0.0196 0.9365
O4 O 0.2912 0.6547 0.0039
O5 O 0.4022 0.1075 0.2996
O6 O 0.4123 0.2283 0.5989
```

* * * * *

Simulated powder X-ray diffraction pattern of Y5AlIn4 for Cu Kα (λ = 1.5418 Å), from a cell relaxed with PBE.
Intensities are scaled so that the largest is 100.

Structural model:
Lattice parameters (Å, degrees): 3.679 3.679 19.262 90.00 90.00 90.00
Space group P4/mmm (No. 123)
Symmetry-distinct sites (fractional):
Y  0.000  0.000  0.000 [1 per cell]
Y  0.000  0.000  0.206 [2 per cell]
Y  0.000  0.000  0.408 [2 per cell]
Al  0.500  0.500  0.500 [1 per cell]
In  0.500  0.500  0.103 [2 per cell]
In  0.500  0.500  0.307 [2 per cell]

Main lines, sorted by position (5 to 70 degrees two-theta):
=====

    I have spoken to people close to VGH that feel no connection to View Royal and to people that bought close to Thetis Lake - one of which did not know she was in View Royal till she get a property tax notice.

    I based my views on those people and on the anything I could see that is a defining place where people gather and meet.

-- What comes next are materials data, not part of the text --
____________
For Mn3InI8, a cell relaxed with PBE gives the calculated PXRD pattern in this record (a wavelength of 1.5418 Å).

Structural model:
```
data_Mn3InI8
_chemical_formula_sum 'Mn3 In1 I8'
_cell_length_a 8.496
_cell_length_b 8.496
_cell_length_c 8.980
_cell_angle_alpha 118.77
_cell_angle_beta 118.77
_cell_angle_gamma 60.01
_space_group_name_H-M_alt 'P 1'
_space_group_IT_number 1
loop_
_space_group_symop_operation_xyz
'x,y,z'
loop_
_atom_site_label
_atom_site_fract_x
_atom_site_fract_y
_atom_site_fract_z
Mn1 0.000 0.000 0.000
Mn2 0.000 0.500 0.000
Mn3 0.500 0.000 0.000
In1 0.500 0.500 0.000
I1 0.224 0.752 0.224
I2 0.241 0.241 0.220
I3 0.248 0.248 0.776
I4 0.248 0.776 0.776
I5 0.752 0.224 0.224
I6 0.752 0.752 0.224
I7 0.759 0.759 0.780
I8 0.776 0.248 0.776
```

Top 6 peaks for 10 to 90 degrees two-theta, in order of rising 2θ:
d [Å]  I (rel.)
7.466  55.2
3.489  43.3
3.083  100.0
3.058  49.8
2.222  35.6
2.124  52.2
____________
-- So much for the materials data --

    So I correct myself and must defer to the people living in View Royal. I am sorry if I have offended anyone.

    Now Oak Bay, is that not just Fairfield east?
